Source >
........
Record 1
Theoretical powder X-ray diffraction pattern
Compound: CdH4S2O5
Radiation: Cu Kα (weighted mean of Kα1 and Kα2)
Structure: a PBE-relaxed structure
Peak positions follow from Bragg's law for the DFT cell and can differ from measured ones.

Atomic structure:
```
CdH4S2O5
1.0
5.916 0.000 0.000
0.000 7.229 0.000
-2.976 0.000 13.989
Cd H S O
4 16 8 20
direct
0.133 0.183 0.183
0.133 0.317 0.683
0.867 0.683 0.317
0.867 0.817 0.817
0.208 0.163 0.984
0.208 0.337 0.484
0.264 0.662 0.484
0.264 0.838 0.984
0.292 0.139 0.528
0.292 0.361 0.028
0.357 0.648 0.389
0.357 0.852 0.889
0.643 0.148 0.111
0.643 0.352 0.611
0.708 0.639 0.972
0.708 0.861 0.472
0.736 0.162 0.016
0.736 0.338 0.516
0.792 0.663 0.516
0.792 0.837 0.016
0.005 0.538 0.172
0.005 0.962 0.672
0.301 0.690 0.163
0.301 0.810 0.663
0.699 0.190 0.337
0.699 0.310 0.837
0.995 0.038 0.328
0.995 0.462 0.828
0.212 0.625 0.628
0.212 0.875 0.128
0.230 0.609 0.419
0.230 0.891 0.919
0.270 0.230 0.043
0.270 0.270 0.543
0.405 0.595 0.092
0.405 0.905 0.592
0.454 0.698 0.259
0.454 0.802 0.759
0.546 0.198 0.241
0.546 0.302 0.741
0.595 0.095 0.408
0.595 0.405 0.908
0.730 0.730 0.457
0.730 0.770 0.957
0.770 0.109 0.081
0.770 0.391 0.581
0.788 0.125 0.872
0.788 0.375 0.372
```

Top 12 peaks for 5° ≤ 2θ ≤ 70°, by angle:
two_theta, I/Imax
12.66, 100
15.31, 39
21.62, 44
21.88, 96
24.63, 23
25.45, 85
26.91, 36
29.66, 30
30.53, 24
33.35, 55
36.81, 23
41.22, 22

Record 2
Theoretical powder X-ray diffraction pattern
Compound: Cd2H2SO6
Radiation: Cu Kα (weighted mean of Kα1 and Kα2)
Structure: a PBE-relaxed structure
Peak positions follow from Bragg's law for the DFT cell and can differ from measured ones.

Atomic structure:
```
Cd2H2SO6
1.0
5.906 -3.959 0.000
5.906 3.959 0.000
-2.978 0.000 5.912
Cd H S O
4 4 2 12
direct
0.153 0.346 0.310
0.346 0.153 0.810
0.654 0.847 0.190
0.847 0.654 0.690
0.264 0.543 0.791
0.457 0.736 0.709
0.543 0.264 0.291
0.736 0.457 0.209
0.189 0.811 0.250
0.811 0.189 0.750
0.030 0.186 0.905
0.179 0.445 0.693
0.186 0.030 0.405
0.254 0.664 0.391
0.336 0.746 0.109
0.445 0.179 0.193
0.555 0.821 0.807
0.664 0.254 0.891
0.746 0.336 0.609
0.814 0.970 0.595
0.821 0.555 0.307
0.970 0.814 0.095
```

Top 12 peaks for 5° ≤ 2θ ≤ 70°, by angle:
two_theta, I/Imax
16.81, 78
23.19, 25
25.53, 24
27.12, 42
28.16, 100
29.70, 23
30.23, 26
33.99, 27
35.59, 21
38.02, 23
49.16, 19
52.51, 14

Record 3
Theoretical powder X-ray diffraction pattern
Compound: Cd2H2SO6
Radiation: Cu Kα (weighted mean of Kα1 and Kα2)
Structure: a PBE-relaxed structure
Peak positions follow from Bragg's law for the DFT cell and can differ from measured ones.

Atomic structure:
```
Cd2H2SO6
1.0
7.113 0.000 0.000
0.000 7.624 0.000
-5.765 0.000 10.094
Cd H S O
8 8 4 24
direct
0.152 0.036 0.168
0.152 0.464 0.668
0.332 0.168 0.505
0.332 0.332 0.005
0.668 0.668 0.995
0.668 0.832 0.495
0.848 0.536 0.332
0.848 0.964 0.832
0.070 0.714 0.046
0.070 0.786 0.546
0.237 0.673 0.868
0.237 0.827 0.368
0.763 0.173 0.632
0.763 0.327 0.132
0.930 0.214 0.454
0.930 0.286 0.954
0.309 0.007 0.781
0.309 0.493 0.281
0.691 0.507 0.719
0.691 0.993 0.219
0.033 0.189 0.976
0.033 0.311 0.476
0.163 0.594 0.314
0.163 0.906 0.814
0.241 0.516 0.138
0.241 0.984 0.638
0.301 0.198 0.808
0.301 0.302 0.308
0.320 0.566 0.875
0.320 0.934 0.375
0.464 0.059 0.134
0.464 0.441 0.634
0.536 0.559 0.366
0.536 0.941 0.866
0.680 0.066 0.625
0.680 0.434 0.125
0.699 0.698 0.692
0.699 0.802 0.192
0.759 0.016 0.362
0.759 0.484 0.862
0.837 0.094 0.186
0.837 0.406 0.686
0.967 0.689 0.524
0.967 0.811 0.024
```

Top 12 peaks for 5° ≤ 2θ ≤ 70°, by angle:
two_theta, I/Imax
17.13, 60
18.49, 82
20.02, 27
23.34, 23
27.85, 29
28.23, 38
28.99, 100
29.36, 51
32.99, 26
33.13, 25
34.66, 30
38.15, 23

Record 4
Theoretical powder X-ray diffraction pattern
Compound: CdH2SO5
Radiation: Cu Kα (weighted mean of Kα1 and Kα2)
Structure: a PBE-relaxed structure
Peak positions follow from Bragg's law for the DFT cell and can differ from measured ones.

Atomic structure:
```
CdH2SO5
1.0
........

What to do >
Your job: quote the block earlier on with every line break kept.

Completed >
Record 1
Theoretical powder X-ray diffraction pattern
Compound: CdH4S2O5
Radiation: Cu Kα (weighted mean of Kα1 and Kα2)
Structure: a PBE-relaxed structure
Peak positions follow from Bragg's law for the DFT cell and can differ from measured ones.

Atomic structure:
```
CdH4S2O5
1.0
5.916 0.000 0.000
0.000 7.229 0.000
-2.976 0.000 13.989
Cd H S O
4 16 8 20
direct
0.133 0.183 0.183
0.133 0.317 0.683
0.867 0.683 0.317
0.867 0.817 0.817
0.208 0.163 0.984
0.208 0.337 0.484
0.264 0.662 0.484
0.264 0.838 0.984
0.292 0.139 0.528
0.292 0.361 0.028
0.357 0.648 0.389
0.357 0.852 0.889
0.643 0.148 0.111
0.643 0.352 0.611
0.708 0.639 0.972
0.708 0.861 0.472
0.736 0.162 0.016
0.736 0.338 0.516
0.792 0.663 0.516
0.792 0.837 0.016
0.005 0.538 0.172
0.005 0.962 0.672
0.301 0.690 0.163
0.301 0.810 0.663
0.699 0.190 0.337
0.699 0.310 0.837
0.995 0.038 0.328
0.995 0.462 0.828
0.212 0.625 0.628
0.212 0.875 0.128
0.230 0.609 0.419
0.230 0.891 0.919
0.270 0.230 0.043
0.270 0.270 0.543
0.405 0.595 0.092
0.405 0.905 0.592
0.454 0.698 0.259
0.454 0.802 0.759
0.546 0.198 0.241
0.546 0.302 0.741
0.595 0.095 0.408
0.595 0.405 0.908
0.730 0.730 0.457
0.730 0.770 0.957
0.770 0.109 0.081
0.770 0.391 0.581
0.788 0.125 0.872
0.788 0.375 0.372
```

Top 12 peaks for 5° ≤ 2θ ≤ 70°, by angle:
two_theta, I/Imax
12.66, 100
15.31, 39
21.62, 44
21.88, 96
24.63, 23
25.45, 85
26.91, 36
29.66, 30
30.53, 24
33.35, 55
36.81, 23
41.22, 22

Record 2
Theoretical powder X-ray diffraction pattern
Compound: Cd2H2SO6
Radiation: Cu Kα (weighted mean of Kα1 and Kα2)
Structure: a PBE-relaxed structure
Peak positions follow from Bragg's law for the DFT cell and can differ from measured ones.

Atomic structure:
```
Cd2H2SO6
1.0
5.906 -3.959 0.000
5.906 3.959 0.000
-2.978 0.000 5.912
Cd H S O
4 4 2 12
direct
0.153 0.346 0.310
0.346 0.153 0.810
0.654 0.847 0.190
0.847 0.654 0.690
0.264 0.543 0.791
0.457 0.736 0.709
0.543 0.264 0.291
0.736 0.457 0.209
0.189 0.811 0.250
0.811 0.189 0.750
0.030 0.186 0.905
0.179 0.445 0.693
0.186 0.030 0.405
0.254 0.664 0.391
0.336 0.746 0.109
0.445 0.179 0.193
0.555 0.821 0.807
0.664 0.254 0.891
0.746 0.336 0.609
0.814 0.970 0.595
0.821 0.555 0.307
0.970 0.814 0.095
```

Top 12 peaks for 5° ≤ 2θ ≤ 70°, by angle:
two_theta, I/Imax
16.81, 78
23.19, 25
25.53, 24
27.12, 42
28.16, 100
29.70, 23
30.23, 26
33.99, 27
35.59, 21
38.02, 23
49.16, 19
52.51, 14

Record 3
Theoretical powder X-ray diffraction pattern
Compound: Cd2H2SO6
Radiation: Cu Kα (weighted mean of Kα1 and Kα2)
Structure: a PBE-relaxed structure
Peak positions follow from Bragg's law for the DFT cell and can differ from measured ones.

Atomic structure:
```
Cd2H2SO6
1.0
7.113 0.000 0.000
0.000 7.624 0.000
-5.765 0.000 10.094
Cd H S O
8 8 4 24
direct
0.152 0.036 0.168
0.152 0.464 0.668
0.332 0.168 0.505
0.332 0.332 0.005
0.668 0.668 0.995
0.668 0.832 0.495
0.848 0.536 0.332
0.848 0.964 0.832
0.070 0.714 0.046
0.070 0.786 0.546
0.237 0.673 0.868
0.237 0.827 0.368
0.763 0.173 0.632
0.763 0.327 0.132
0.930 0.214 0.454
0.930 0.286 0.954
0.309 0.007 0.781
0.309 0.493 0.281
0.691 0.507 0.719
0.691 0.993 0.219
0.033 0.189 0.976
0.033 0.311 0.476
0.163 0.594 0.314
0.163 0.906 0.814
0.241 0.516 0.138
0.241 0.984 0.638
0.301 0.198 0.808
0.301 0.302 0.308
0.320 0.566 0.875
0.320 0.934 0.375
0.464 0.059 0.134
0.464 0.441 0.634
0.536 0.559 0.366
0.536 0.941 0.866
0.680 0.066 0.625
0.680 0.434 0.125
0.699 0.698 0.692
0.699 0.802 0.192
0.759 0.016 0.362
0.759 0.484 0.862
0.837 0.094 0.186
0.837 0.406 0.686
0.967 0.689 0.524
0.967 0.811 0.024
```

Top 12 peaks for 5° ≤ 2θ ≤ 70°, by angle:
two_theta, I/Imax
17.13, 60
18.49, 82
20.02, 27
23.34, 23
27.85, 29
28.23, 38
28.99, 100
29.36, 51
32.99, 26
33.13, 25
34.66, 30
38.15, 23

Record 4
Theoretical powder X-ray diffraction pattern
Compound: CdH2SO5
Radiation: Cu Kα (weighted mean of Kα1 and Kα2)
Structure: a PBE-relaxed structure
Peak positions follow from Bragg's law for the DFT cell and can differ from measured ones.

Atomic structure:
```
CdH2SO5
1.0